**Data:**
/*
No. 1
A cluster of 2 separate species, C27H44N4O6S3 in total, computed with wB97M-V/def2-TZVPD.

Element x y z (Å)
C 7.49 0.33 0.73
O 6.60 1.26 0.01
C 5.56 0.51 -0.76
C 4.07 1.21 -0.64
C 3.11 1.00 -1.94
C 2.34 2.36 -2.46
C 0.70 2.33 -2.22
C -0.14 3.29 -3.26
C -1.23 4.29 -2.48
C -2.64 3.43 -2.39
C -2.91 2.48 -1.04
O -1.83 2.54 -0.01
C -2.20 3.70 0.83
C -1.21 3.96 2.12
C -0.04 2.83 2.33
O -2.09 3.93 3.33
C -4.27 1.54 -0.87
C -4.32 0.63 0.52
C -3.68 -0.85 0.11
C -2.07 -0.98 0.37
S -1.26 -2.43 -0.57
C -0.46 -3.45 0.80
S 1.24 -3.18 1.02
N -1.16 -4.46 1.67
C -2.63 -4.17 1.86
C -3.61 -4.75 0.68
O -3.27 -6.18 0.47
C -1.88 -6.18 -0.05
C -0.89 -5.89 1.26
C -5.46 1.53 -2.02
O -6.69 0.69 -1.86
C -5.22 2.52 -3.35
N -6.20 2.71 -4.52
S -5.38 3.85 -5.56
N -3.83 4.24 -4.80
C -3.83 3.42 -3.52
H 8.51 0.89 1.00
H 7.04 0.02 1.79
H 7.72 -0.67 0.16
H 5.57 -0.58 -0.31
H 5.97 0.47 -1.88
H 4.26 2.36 -0.45
H 3.58 0.77 0.36
H 3.81 0.58 -2.81
H 2.35 0.14 -1.68
H 2.80 3.27 -1.85
H 2.52 2.44 -3.61
H 0.37 1.19 -2.27
H 0.54 2.67 -1.09
H 0.62 3.88 -3.92
H -0.78 2.56 -3.95
H -0.74 4.49 -1.41
H -1.38 5.32 -3.03
H -3.32 3.54 1.16
H -2.20 4.70 0.19
H -0.66 5.01 2.06
H -0.43 1.75 2.58
H 0.60 3.17 3.28
H 0.74 2.78 1.43
H -1.48 4.01 4.12
H -5.48 0.45 0.73
H -3.76 1.14 1.42
H -3.94 -1.02 -1.03
H -4.19 -1.70 0.77
H -1.87 -1.16 1.53
H -1.44 -0.03 0.08
H -2.84 -3.02 2.11
H -2.95 -4.75 2.86
H -4.73 -4.63 1.06
H -3.55 -4.17 -0.34
H -1.66 -7.27 -0.42
H -1.72 -5.37 -0.91
H -1.17 -6.64 2.13
H 0.26 -5.97 0.96
H -6.41 -0.26 -1.60
C 6.43 -2.73 3.11
C 4.99 -2.85 2.70
N 4.35 -3.98 3.09
O 4.41 -1.99 2.04
H 6.55 -1.84 3.73
H 7.06 -2.65 2.22
H 6.76 -3.60 3.69
H 4.78 -4.72 3.62
H 3.38 -4.08 2.82

- HOMO-LUMO gap: 6.7 eV
- F_max: 0.13087 Eh/bohr
- LUMO: -1.43 eV
- Charge: 0
- Structure (SMILES): COCCCCCCCc1c(OC[C@H](C)O)c(CCCSC(=S)N2CCOCC2)c(O)c2nsnc12.CC(N)=O
- HOMO: -8.1 eV
- E: -79443.63500 eV

How positive or negative is each atom? The Löwdin charges in e answer that:
1 C -0.1489
2 O -0.2686
3 C -0.1996
4 C -0.1693
5 C -0.2034
6 C -0.2067
7 C -0.2088
8 C -0.1873
9 C -0.1489
10 C -0.0203
11 C -0.0587
12 O -0.2006
13 C -0.1473
14 C -0.3161
15 C -0.0777
16 O -0.1250
17 C -0.0177
18 C -0.1388
19 C -0.2412
20 C -0.4462
21 S 0.7485
22 C -0.9419
23 S 0.6117
24 N -0.2238
25 C -0.1613
26 C -0.1992
27 O -0.2082
28 C -0.1562
29 C -0.1391
30 C -0.0719
31 O -0.0740
32 C -0.1493
33 N -0.2824
34 S 0.8536
35 N -0.2806
36 C -0.1877
37 H 0.1046
38 H 0.0916
39 H 0.0966
40 H 0.1149
41 H 0.1334
42 H 0.1060
43 H 0.1244
44 H 0.1111
45 H 0.1079
46 H 0.1164
47 H 0.1044
48 H 0.1147
49 H 0.0970
50 H 0.1080
51 H 0.1181
52 H 0.1068
53 H 0.1173
54 H 0.1446
55 H 0.1341
56 H 0.1543
57 H 0.0909
58 H 0.0932
59 H 0.0877
60 H 0.1014
61 H 0.1238
62 H 0.1204
63 H 0.1160
64 H 0.1060
65 H 0.0966
66 H 0.0771
67 H 0.1156
68 H 0.1456
69 H 0.1415
70 H 0.0983
71 H 0.1327
72 H 0.1255
73 H 0.1441
74 H 0.1219
75 H 0.1178
76 C -0.0167
77 C -0.5959
78 N 0.1531
79 O -0.0038
80 H 0.0872
81 H 0.0814
82 H 0.0708
83 H 0.0985
84 H 0.0561

=====

No. 2
A cluster of 6 separate species, C27H44NO10 in total, computed with wB97M-V/def2-TZVPD.

Element x y z (Å)
C -0.94 0.08 4.81
C -1.55 0.39 3.64
C -3.07 0.34 3.67
C -3.54 -1.00 4.24
C -5.08 -1.17 4.24
C -5.76 0.21 4.16
C -4.97 1.12 5.09
N -3.71 1.52 4.38
H -1.19 0.70 5.67
H -0.27 -0.76 4.90
H -0.96 0.61 2.76
H -3.39 0.40 2.63
H -3.21 -1.08 5.27
H -3.02 -1.76 3.66
H -5.36 -1.56 5.21
H -5.42 -1.86 3.48
H -6.76 0.14 4.58
H -5.76 0.61 3.15
H -5.52 2.02 5.36
H -4.73 0.59 6.00
H -3.07 1.95 5.05
H -3.97 2.22 3.69
O 0.21 1.06 0.82
C -0.42 1.62 -0.03
O 0.11 2.56 -0.83
C -0.90 3.11 -1.71
C -1.98 2.04 -1.77
C -1.88 1.41 -0.39
H -1.26 4.05 -1.28
H -0.46 3.31 -2.68
H -2.96 2.44 -2.02
H -1.71 1.30 -2.52
H -2.50 1.93 0.35
H -2.12 0.35 -0.40
O -0.76 1.88 -4.49
C 0.20 1.24 -4.80
O 1.45 1.63 -4.48
C 2.42 0.73 -5.06
C 1.65 -0.57 -5.31
C 0.24 -0.04 -5.60
H 2.79 1.18 -5.98
H 3.25 0.60 -4.37
H 2.08 -1.17 -6.11
H 1.63 -1.17 -4.41
H 0.10 0.20 -6.65
H -0.53 -0.73 -5.27
O 3.03 -5.01 1.95
C 2.72 -3.86 1.96
*/

**Activity:**
Echo only the last part of the calculation results further up, starting with the line that has "0.1173".

**Completed:**
53 H 0.1173
54 H 0.1446
55 H 0.1341
56 H 0.1543
57 H 0.0909
58 H 0.0932
59 H 0.0877
60 H 0.1014
61 H 0.1238
62 H 0.1204
63 H 0.1160
64 H 0.1060
65 H 0.0966
66 H 0.0771
67 H 0.1156
68 H 0.1456
69 H 0.1415
70 H 0.0983
71 H 0.1327
72 H 0.1255
73 H 0.1441
74 H 0.1219
75 H 0.1178
76 C -0.0167
77 C -0.5959
78 N 0.1531
79 O -0.0038
80 H 0.0872
81 H 0.0814
82 H 0.0708
83 H 0.0985
84 H 0.0561

=====

No. 2
A cluster of 6 separate species, C27H44NO10 in total, computed with wB97M-V/def2-TZVPD.

Element x y z (Å)
C -0.94 0.08 4.81
C -1.55 0.39 3.64
C -3.07 0.34 3.67
C -3.54 -1.00 4.24
C -5.08 -1.17 4.24
C -5.76 0.21 4.16
C -4.97 1.12 5.09
N -3.71 1.52 4.38
H -1.19 0.70 5.67
H -0.27 -0.76 4.90
H -0.96 0.61 2.76
H -3.39 0.40 2.63
H -3.21 -1.08 5.27
H -3.02 -1.76 3.66
H -5.36 -1.56 5.21
H -5.42 -1.86 3.48
H -6.76 0.14 4.58
H -5.76 0.61 3.15
H -5.52 2.02 5.36
H -4.73 0.59 6.00
H -3.07 1.95 5.05
H -3.97 2.22 3.69
O 0.21 1.06 0.82
C -0.42 1.62 -0.03
O 0.11 2.56 -0.83
C -0.90 3.11 -1.71
C -1.98 2.04 -1.77
C -1.88 1.41 -0.39
H -1.26 4.05 -1.28
H -0.46 3.31 -2.68
H -2.96 2.44 -2.02
H -1.71 1.30 -2.52
H -2.50 1.93 0.35
H -2.12 0.35 -0.40
O -0.76 1.88 -4.49
C 0.20 1.24 -4.80
O 1.45 1.63 -4.48
C 2.42 0.73 -5.06
C 1.65 -0.57 -5.31
C 0.24 -0.04 -5.60
H 2.79 1.18 -5.98
H 3.25 0.60 -4.37
H 2.08 -1.17 -6.11
H 1.63 -1.17 -4.41
H 0.10 0.20 -6.65
H -0.53 -0.73 -5.27
O 3.03 -5.01 1.95
C 2.72 -3.86 1.96